Programme content
Le master en Sciences ECTplus est un master européen conjoint en Sciences organisé en collaboration avec plusieurs universités, Norwegian University of Science and Technology (NTNU, Norway), University of Porto (UPO, Portugal), University of Pau et des Pays de l'Adour (UPPA, France), University of Bordeaux (UBx, France), University of Liège (ULiège, Belgium) and University of the Basque Country (EHU, Spain).
Il vise à former des diplômé·e·s de haut niveau qui se consacrent à la protection de l'environnement par une approche double alliant recherche de pointe et utilisation de techniques adaptées et entend attirer des étudiant·e·s hautement qualifié·e·s et motivé·e·s, venu·e·s du monde entier, pour un master européen intégré, de très haut niveau.
Les diplômé·e·s du Master en Océanographie Erasmus Mundus ECT+ : Environmental Contamination and Toxicology pourront relever les principaux défis scientifiques et technologiques reconnus comme prioritaires par les institutions européennes. Il combine une approche scientifique totalement innovante avec l'application directe des résultats pour la protection de la santé humaine et de l'environnement.
Plus d'informations sur le site ECT+
Les 2 programmes Erasmus Mundus « Science in Environmental Contamination and Toxicology (ECT+) » et « Marine Environment and Resources (MER) » intégrés dans le Master en Océanographie ont été accrédités par le EAQAJP (European Approach For Quality Assurance of Joint Programmes).
Learning outcomes
The student will be able to demonstrate knowledge and understanding of a wide range of topics:
- Fundamentals of poluution and its biological consequences with the viewpoint of core disciplines (e.g. Biogeochemistry, Environment Analytical Chemistry, Toxicology, Ecotoxicology, Ecology, Risk Assessment).
- Main processes of chemical pollution and its biological consequences at different temporal and spatial scales.
- The terminology, nomenclature and classification systems used in environmental sciences.
- Theory, practice, acquisition, analysis and interpretation of data, across a range of envrionmental applications.
- The value and need for multi-disciplinary approaches in advancing knowledge.
- Application of chemical and biological knowledge to contribute to sustainable environmental management.
- Wild selection of cutting-edge research topics, together with specialised techniques used to investigate them.
Subject specific skills
The student will be able to put into practice the following subject specific skills:
- Understanding scientific processes.
- Recognise and use of theories, paradigms, concepts and principles to design and undertake primary research in environmental contamination and toxicology.
- Critically analyse, synthesise, interpret and summarise complex scientific information.
- Collect, record and analyse chemical and biological data of environmental significance (field/lab), using state-of-the-art techniques and equipment.
- Read, use and reference the published work of others, in an appropriate manner.
General and transferable skills
The student will possess various general and transferable skills:
- Apply and further devlop computing, statistical and mathematical skills.
- Appreciate statistical issues of sampling and date recording and analysis in the field and in the laboratory.
- Prepare, process and present data, using appropriate qualitative and quantitative techniques and computer software packages, and solve numerical problems using computer and computer-bases techniques.
- Develop, where appropriate, advanced skills in computer programming.
- Collect and integrate several lines of evidence, to formulate and test hypotheses.
- Apply knowledge and understanding, to address familiar and unfamiliar problems.
- Design, implement and report on scientific research projects, including a major research project at the forefront of knowledge in environmental contamination and toxicology.
• Unrelated to this page: calculated crystals:
<<<
# LaNd6Sm3
Theoretical X-ray diffraction stick pattern, a wavelength of 1.5418 Å. Input: a structure optimized by DFT (PBE).
Neutral-atom scattering factors, no anomalous dispersion.

Principal peaks in the range 15 to 90 degrees two-theta, most intense first:
two_theta, I/Imax, (hkl)
30.63, 100.0, 3 0 0
28.47, 64.9, 1 1 3
53.13, 22.2, 4 1 3
42.31, 21.9, 2 2 3
54.46, 19.4, 3 3 0
31.55, 16.5, 1 0 4
40.61, 14.5, 2 1 4
55.75, 12.7, 3 0 6
63.78, 11.9, 6 0 0
48.23, 11.3, 1 3 4
88.68, 9.8, 6 3 0
73.51, 9.7, 3 3 6

Unit cell a=10.1097 b=10.1097 c=11.9908 alpha=90.00 beta=90.00 gamma=120.00
Space group R32 (No. 155, hexagonal axes)
Symmetry-distinct sites (fractional):
La  0.0000  0.0000  0.0000 (multiplicity 3)
Nd  0.0000  0.3269  0.0000 (multiplicity 9)
Nd  0.0000  0.6758  0.5000 (multiplicity 9)
Sm  0.0000  0.0000  0.2521 (multiplicity 6)
Sm  0.0000  0.0000  0.5000 (multiplicity 3)

=====

# 1
The following is a simulated powder XRD pattern of Tb6Er4Th. It was derived from a crystal structure in Alexandria, relaxed with GGA-PBE, using CuKα.

Peak list (10 most intense, 2θ from 15° to 90°, low angle first)
2θ 30.5, intensity 78; 2θ 30.8, intensity 61; 2θ 31.2, intensity 78; 2θ 32.1, intensity 100; 2θ 32.2, intensity 43; 2θ 33.5, intensity 53; 2θ 44.4, intensity 45; 2θ 56.1, intensity 21; 2θ 56.5, intensity 16; 2θ 67.1, intensity 16

Cell and atoms:
```
data_Tb6Er4Th
_chemical_formula_sum 'Tb12 Er8 Th2'
_cell_length_a 5.5873
_cell_length_b 5.5873
_cell_length_c 25.5507
_cell_angle_alpha 90.00
_cell_angle_beta 90.00
_cell_angle_gamma 118.35
_symmetry_space_group_name_H-M 'P 1'
_symmetry_Int_Tables_number 1
loop_
_symmetry_equiv_pos_as_xyz
'x,y,z'
loop_
_atom_site_label
_atom_site_type_symbol
_atom_site_fract_x
_atom_site_fract_y
_atom_site_fract_z
Tb1 Tb 0.0000 0.0000 0.0000
Tb2 Tb 0.0000 0.0000 0.5000
Tb3 Tb 0.0375 0.9625 0.7500
Tb4 Tb 0.3015 0.6985 0.1010
Tb5 Tb 0.3015 0.6985 0.3990
Tb6 Tb 0.3706 0.6294 0.6818
Tb7 Tb 0.3706 0.6294 0.8182
Tb8 Tb 0.6294 0.3706 0.1818
Tb9 Tb 0.6294 0.3706 0.3182
Tb10 Tb 0.6985 0.3015 0.6010
Tb11 Tb 0.6985 0.3015 0.8990
Tb12 Tb 0.9625 0.0375 0.2500
Er1 Er 0.0405 0.9595 0.6223
Er2 Er 0.0405 0.9595 0.8777
Er3 Er 0.3463 0.6537 0.5418
Er4 Er 0.3463 0.6537 0.9582
Er5 Er 0.6537 0.3463 0.0418
Er6 Er 0.6537 0.3463 0.4582
Er7 Er 0.9595 0.0405 0.1223
Er8 Er 0.9595 0.0405 0.3777
Th1 Th 0.2987 0.7013 0.2500
Th2 Th 0.7013 0.2987 0.7500
```

# 2
The following is a simulated powder XRD pattern of KSb. It was derived from a crystal structure in Alexandria, relaxed with GGA-PBE, using CuKα.

Peak list (10 most intense, 2θ from 15° to 90°, low angle first)
2θ 17.2, intensity 66; 2θ 27.9, intensity 58; 2θ 28.6, intensity 33; 2θ 29.7, intensity 100; 2θ 32.7, intensity 27; 2θ 33.5, intensity 41; 2θ 38.8, intensity 45; 2θ 42.8, intensity 27; 2θ 44.2, intensity 32; 2θ 59.3, intensity 26

Cell and atoms:
```
data_KSb
_chemical_formula_sum 'K8 Sb8'
_cell_length_a 11.5120
_cell_length_b 11.5120
_cell_length_c 5.3534
_cell_angle_alpha 90.00
>>>
• So much for the calculated crystals:
- Undertake field and laboratory investigations in a responsible and safe manner, paying due attention to risk assessment, rights of access, relevant health and safety regulations and sensitivity to the impact of investigations on the environment and stakeholders.
- Critically use the Internet as a mean of communication and data dissemination, and as a source of information.
- Identify individual and collective goals, take responsabilities and perform in an appropriate manner.
- Recognise and respect the views of other team members.
- Evaluate performance as an individual and as a team member.
- Understand the roles of individuals in teams and how individuals learn in team groups.
- Continue to develop the skills necessary for self-managed and life-long learning.
- Identify and work towards targets for personal, academic and career development.
- Develop an adaptable and flexible approach to study and work.
- Appreciate ethical issues in science research.
Unrelated to this text: data records =
<<<
Entry 1:
Starting from a DFT-relaxed cell (GGA-PBE, the Materials Project), the X-ray powder pattern of CeTlF5 was computed for Cu Kα (λ = 1.5418 Å).
Lines closer than 0.1° are merged.

Top 10 peaks for 10 to 90 degrees two-theta, low angle first:
2θ/deg	intensity	hkl
22.09	12	1 3 0
25.19	44	0 2 2
25.56	100	0 4 0
27.32	31	2 0 -2
34.03	9	1 5 0
34.56	9	2 0 2
37.78	14	2 4 -2
44.83	13	0 6 2
45.06	23	2 6 0
47.02	10	3 5 0

Cell and atoms:
abc: 8.2564 13.9387 8.4209
angles: 90.00 102.99 90.00
Space group P2_1/c (No. 14)
Asymmetric unit:
1 Ce 0.0171 0.2446 0.0965 x4
2 Ce 0.4447 0.2463 0.9614 x4
3 Tl 0.2303 0.5229 0.7200 x4
4 Tl 0.2759 0.5173 0.2025 x4
5 F 0.0209 0.6011 0.9347 x4
6 F 0.0665 0.5959 0.3886 x4
7 F 0.0787 0.7102 0.6761 x4
8 F 0.1808 0.1805 0.3551 x4
9 F 0.2266 0.1512 0.0187 x4
10 F 0.2692 0.7392 0.9717 x4
11 F 0.2796 0.1865 0.6909 x4
12 F 0.4694 0.6983 0.2690 x4
13 F 0.4708 0.6025 0.5779 x4
14 F 0.4867 0.1028 0.5142 x4


Entry 2:
Starting from a DFT-relaxed cell (GGA-PBE, the Materials Project), the X-ray powder pattern of CeZr2F11 was computed for Cu Kα (λ = 1.5418 Å).
Lines closer than 0.1° are merged.

Top 10 peaks for 10 to 90 degrees two-theta, low angle first:
2θ/deg	intensity	hkl
14.16	22	1 1 0
21.32	100	1 1 2
22.19	26	1 2 1
23.59	59	0 2 2
25.43	39	2 1 1
28.53	24	1 3 0
43.42	46	1 3 4
46.49	26	3 3 2
48.84	31	4 0 2
49.42	16	4 2 0

Cell and atoms:
abc: 7.9092 10.2187 11.1781
angles: 90.00 90.00 90.00
Space group Ibam (No. 72)
Asymmetric unit:
1 Ce 0.0000 0.0000 0.2500 x4
2 Zr 0.1336 0.3194 0.0000 x8
3 F 0.0000 0.5000 0.0000 x4
4 F 0.1015 0.1849 0.1363 x16
5 F 0.1292 0.2792 0.5000 x8
6 F 0.2356 0.0763 0.3704 x16


Entry 3:
Starting from a DFT-relaxed cell (GGA-PBE, the Materials Project), the X-ray powder pattern of Ce2Fe17 was computed for Cu Kα (λ = 1.5418 Å).
Lines closer than 0.1° are merged.

Top 10 peaks for 10 to 90 degrees two-theta, low angle first:
2θ/deg	intensity	hkl
30.02	18	1 1 3
36.96	21	3 0 0
37.69	14	0 2 4
42.95	100	0 0 6
43.59	15	2 0 5
48.33	14	2 2 3
62.37	15	2 2 6
70.74	10	3 3 3
78.67	9	6 0 0
78.78	9	3 0 9

Cell and atoms:
abc: 8.4260 8.4260 12.6205
angles: 90.00 90.00 120.00
Space group R-3m (No. 166, hexagonal axes)
Asymmetric unit:
1 Ce 0.0000 0.0000 0.1582 x6
2 Fe 0.0000 0.0000 0.4048 x6
3 Fe 0.0000 0.2959 0.5000 x18
4 Fe 0.0000 0.5000 0.0000 x9
5 Fe 0.0010 0.5005 0.3427 x18
>>>
Soft skills
The student will acquire diverse soft skills:
- Use of English as lingua franca in science but recognise worldwide diversity in the use of English, which will enhance diversity in the use of English, wich will enhance her/his communication skills.
- Be aware that other languages are used in Europe and recognise the value of cultural diversity; as such will be able to enhance language proficiency in some of them: e.g.n French, Norwegian, Portuguese, Spanish and Basque language courses (mainly introductory) are offerec in parallel to the ECT+ EMJMD programme.
- Be aware of cultural diversity (both at European level, through mobility amongst Partners, and at worldwilde level, through being exposed to a multicultural international atmosphere with classmates and visiting scholars).
- Respect to gender equality by experiencing study and working activities with mates of both sexes and distinct sexual conditions.
- Identify themselves as open-minded citizens of the world.